Start at the top of the entries below and retype each line, ending with the one that has "0.514 0.815".
=====
{"formula": "SmCrB4", "functional": "r2SCAN", "state": "optimized geometry", "lattice_angstrom": [[5.9832, 0.0000, 0.0000], [0.0000, 11.5668, 0.0000], [0.0000, 0.0000, 3.5107]], "species": ["Sm", "Sm", "Sm", "Sm", "Cr", "Cr", "Cr", "Cr", "B", "B", "B", "B", "B", "B", "B", "B", "B", "B", "B", "B", "B", "B", "B", "B"], "frac_coords": [[0.1240, 0.1507, 0.0000], [0.3760, 0.6507, 0.0000], [0.6240, 0.3493, 0.0000], [0.8760, 0.8493, 0.0000], [0.1191, 0.4223, 0.0000], [0.3809, 0.9223, 0.0000], [0.6191, 0.0777, 0.0000], [0.8809, 0.5777, 0.0000], [0.0244, 0.6896, 0.5000], [0.1120, 0.5460, 0.5000], [0.1402, 0.9672, 0.5000], [0.2234, 0.8178, 0.5000], [0.2766, 0.3178, 0.5000], [0.3598, 0.4672, 0.5000], [0.3880, 0.0460, 0.5000], [0.4756, 0.1896, 0.5000], [0.5244, 0.8104, 0.5000], [0.6120, 0.9540, 0.5000], [0.6402, 0.5328, 0.5000], [0.7234, 0.6822, 0.5000], [0.7766, 0.1822, 0.5000], [0.8598, 0.0328, 0.5000], [0.8880, 0.4540, 0.5000], [0.9756, 0.3104, 0.5000]], "final_energy_ev_per_atom": -12.943, "ef_ev_per_fu": -3.47, "mass_density_g_cm3": 6.71}

=====

(1)
Li3V3P8O29 | Materials Project | PBE with a Hubbard U | relaxed; mass density = 2.498 g/cm³; energy relative to the elements = -2531 meV per atom; distance to the lowest polymorph of the same formula = 0.2 kJ per mole of atoms; SG = Cc (9); VASP energy = -7.060 eV per atom
1.0
4.878 8.431 0.000
-4.878 8.431 0.000
0.000 0.062 14.312
Li V P O
6 6 16 58
Direct
0.907 0.326 0.441 Li
0.767 0.328 0.942 Li
0.326 0.907 0.941 Li
0.328 0.767 0.442 Li
0.985 0.960 0.997 Li
0.960 0.985 0.497 Li
0.564 0.435 0.748 V
0.435 0.564 0.248 V
0.567 0.997 0.253 V
0.440 0.003 0.748 V
0.997 0.567 0.753 V
0.003 0.440 0.248 V
0.916 0.783 0.160 P
0.783 0.916 0.660 P
0.914 0.313 0.656 P
0.664 0.665 0.868 P
0.665 0.664 0.368 P
0.776 0.315 0.157 P
0.694 0.220 0.337 P
0.313 0.914 0.156 P
0.697 0.085 0.843 P
0.315 0.776 0.657 P
0.220 0.694 0.837 P
0.329 0.338 0.634 P
0.338 0.329 0.134 P
0.085 0.697 0.343 P
0.220 0.086 0.337 P
0.086 0.220 0.837 P
0.009 0.792 0.427 O
0.915 0.740 0.671 O
0.792 0.009 0.927 O
0.740 0.915 0.171 O
0.921 0.620 0.173 O
0.812 0.666 0.823 O
0.914 0.470 0.673 O
0.991 0.209 0.916 O
0.915 0.349 0.172 O
0.666 0.812 0.323 O
0.620 0.921 0.673 O
0.815 0.514 0.328 O
0.664 0.658 0.972 O
0.658 0.664 0.472 O
0.669 0.513 0.826 O
0.470 0.914 0.173 O
0.514 0.815 0.828 O
0.743 0.343 0.672 O
0.791 0.198 0.240 O
0.798 0.207 0.417 O
0.785 0.240 0.065 O
0.618 0.473 0.174 O
0.513 0.669 0.326 O
0.653 0.263 0.837 O
0.473 0.618 0.674 O
0.349 0.915 0.672 O
0.800 0.004 0.751 O
0.799 0.993 0.575 O
0.209 0.991 0.416 O
0.655 0.084 0.335 O
0.539 0.381 0.327 O
0.343 0.743 0.172 O
0.478 0.338 0.679 O
0.381 0.539 0.827 O
0.207 0.798 0.917 O
0.240 0.785 0.565 O
0.198 0.791 0.740 O
0.263 0.653 0.337 O
0.481 0.183 0.181 O
0.541 0.077 0.829 O
0.338 0.478 0.179 O
0.334 0.331 0.031 O
0.331 0.334 0.531 O
0.183 0.481 0.681 O
0.381 0.080 0.328 O
0.335 0.187 0.681 O
0.084 0.655 0.835 O
0.004 0.800 0.251 O
0.993 0.799 0.075 O
0.077 0.541 0.329 O
0.187 0.335 0.181 O
0.080 0.381 0.828 O
0.261 0.083 0.839 O
0.237 0.978 0.064 O
0.194 0.018 0.239 O
0.083 0.261 0.339 O
0.978 0.237 0.564 O
0.018 0.194 0.739 O

---

(2)
Li3Fe8B8O24 | Materials Project | PBE with a Hubbard U | relaxed; mass density = 3.200 g/cm³; energy relative to the elements = -2244 meV per atom; distance to the lowest polymorph of the same formula = 1.1 kJ per mole of atoms; SG = P1 (1); VASP energy = -7.154 eV per atom
1.0
4.520 -0.001 2.754
1.184 8.733 -1.919
-7.829 -1.808 8.108
Li Fe B O
3 8 8 24
Direct
0.839 0.186 0.357 Li
0.391 0.046 0.097 Li
0.570 0.905 0.836 Li
0.598 0.590 0.862 Fe
0.911 0.881 0.117 Fe
0.150 0.474 0.622 Fe
0.348 0.017 0.376 Fe
0.661 0.984 0.625 Fe
0.853 0.528 0.372 Fe
0.089 0.106 0.874 Fe
0.396 0.403 0.125 Fe
0.351 0.349 0.364 B
0.113 0.771 0.873 B
0.859 0.860 0.375 B
0.594 0.265 0.875 B
0.135 0.138 0.615 B
0.403 0.729 0.119 B
0.656 0.643 0.623 B
0.893 0.235 0.134 B
0.865 0.774 0.900 O
0.549 0.541 0.667 O
0.772 0.102 0.137 O
0.465 0.210 0.361 O
=====
{"formula": "SmCrB4", "functional": "r2SCAN", "state": "optimized geometry", "lattice_angstrom": [[5.9832, 0.0000, 0.0000], [0.0000, 11.5668, 0.0000], [0.0000, 0.0000, 3.5107]], "species": ["Sm", "Sm", "Sm", "Sm", "Cr", "Cr", "Cr", "Cr", "B", "B", "B", "B", "B", "B", "B", "B", "B", "B", "B", "B", "B", "B", "B", "B"], "frac_coords": [[0.1240, 0.1507, 0.0000], [0.3760, 0.6507, 0.0000], [0.6240, 0.3493, 0.0000], [0.8760, 0.8493, 0.0000], [0.1191, 0.4223, 0.0000], [0.3809, 0.9223, 0.0000], [0.6191, 0.0777, 0.0000], [0.8809, 0.5777, 0.0000], [0.0244, 0.6896, 0.5000], [0.1120, 0.5460, 0.5000], [0.1402, 0.9672, 0.5000], [0.2234, 0.8178, 0.5000], [0.2766, 0.3178, 0.5000], [0.3598, 0.4672, 0.5000], [0.3880, 0.0460, 0.5000], [0.4756, 0.1896, 0.5000], [0.5244, 0.8104, 0.5000], [0.6120, 0.9540, 0.5000], [0.6402, 0.5328, 0.5000], [0.7234, 0.6822, 0.5000], [0.7766, 0.1822, 0.5000], [0.8598, 0.0328, 0.5000], [0.8880, 0.4540, 0.5000], [0.9756, 0.3104, 0.5000]], "final_energy_ev_per_atom": -12.943, "ef_ev_per_fu": -3.47, "mass_density_g_cm3": 6.71}

=====

(1)
Li3V3P8O29 | Materials Project | PBE with a Hubbard U | relaxed; mass density = 2.498 g/cm³; energy relative to the elements = -2531 meV per atom; distance to the lowest polymorph of the same formula = 0.2 kJ per mole of atoms; SG = Cc (9); VASP energy = -7.060 eV per atom
1.0
4.878 8.431 0.000
-4.878 8.431 0.000
0.000 0.062 14.312
Li V P O
6 6 16 58
Direct
0.907 0.326 0.441 Li
0.767 0.328 0.942 Li
0.326 0.907 0.941 Li
0.328 0.767 0.442 Li
0.985 0.960 0.997 Li
0.960 0.985 0.497 Li
0.564 0.435 0.748 V
0.435 0.564 0.248 V
0.567 0.997 0.253 V
0.440 0.003 0.748 V
0.997 0.567 0.753 V
0.003 0.440 0.248 V
0.916 0.783 0.160 P
0.783 0.916 0.660 P
0.914 0.313 0.656 P
0.664 0.665 0.868 P
0.665 0.664 0.368 P
0.776 0.315 0.157 P
0.694 0.220 0.337 P
0.313 0.914 0.156 P
0.697 0.085 0.843 P
0.315 0.776 0.657 P
0.220 0.694 0.837 P
0.329 0.338 0.634 P
0.338 0.329 0.134 P
0.085 0.697 0.343 P
0.220 0.086 0.337 P
0.086 0.220 0.837 P
0.009 0.792 0.427 O
0.915 0.740 0.671 O
0.792 0.009 0.927 O
0.740 0.915 0.171 O
0.921 0.620 0.173 O
0.812 0.666 0.823 O
0.914 0.470 0.673 O
0.991 0.209 0.916 O
0.915 0.349 0.172 O
0.666 0.812 0.323 O
0.620 0.921 0.673 O
0.815 0.514 0.328 O
0.664 0.658 0.972 O
0.658 0.664 0.472 O
0.669 0.513 0.826 O
0.470 0.914 0.173 O
0.514 0.815 0.828 O